Background The Alumni or Old Boys' Association was set up on 25 June 1952, catering to a strong 5,000 member community. Established in 1875, St. Joseph's College (聖若瑟書院) is the oldest Catholic boys' secondary school in Hong Kong. It is located at 7 Kennedy Road, Mid-levels, in the Central and Western District. The College enrollment is about 1150; together with the primary school at 48 Wood Road, Wan Chai, the enrollment of the schools now exceeds 4200. St. Joseph's College is one of the few schools in Hong Kong that, in major, relies on English as the means of communication.The school curriculum uses English as the medium of instruction in all subjects with the exception of Chinese-related subjects and French. St. Joseph's College has always been revered as one of the most elite boys' schools in Hong Kong. It has always been revered as one of the best schools in Hong Kong. The sponsoring body of the College is the Institute of the Brothers of the Christian Schools. Known as the 'Lasallian Brothers', the Institute's spirit is of faith and zeal: to have faith in God and an ardent zeal to teach the children, helping them in developing themselves so to live as brothers and sisters in a world of justice. In accordance, the mission of the College is "to educate students in areas of intellectual, physical, social, moral and emotional development" and "to impart a human and Christian education...and to do so with faith and zeal". The College provides education which emphasises not only academic but also extracurricular activities. The College also aims at stimulating the social awareness of the students, with a number of alumni becoming important social figures. |
Manager Election Timetable
you need to know about ALUMNI MANAGER ELECTION (2015)
1. Formation of Alumni Manager Election - Election Sub-Committee And Appeal CommitteeDuring the first Executive Committee (“ExCom”) meeting for the newly elected ExCom on 10 December 2014, it was decided unanimously that there shall be an election of an alumni manager as provided in the Incorporated Management Committee Constitution.In accordance with Articles 4 to 7 of the Saint Joseph’s College Old Boys’ Association (“SJCOBA”) Alumni Manager Election Bye-laws (“Bye-laws”), an Election Sub-Committee is formed with Louis Chan elected by the ExCom as the Convenor and Ronald Sum and David Lam appointed as members by the President of the SJCOBA after consultation with In accordance with Articles 8 to 10 of the SJCOBA Bye-laws, an Appeal Committee is formed with Hui Ka Ho elected by the ExCom as the Convenor and Thomas Tsang and Eugene Wong as members. Further details regarding the alumni manager election will be provided in due course. SJCOBA Alumni Manager Election Sub-Committee dated: 7 January 2015 |
2. Alumni Manager Election Timetable
3. Briefing to all SJC Old Boys on Alumni Manager ElectionA briefing on the logistics of the Alumni Manager Election will be held at the Old Hall in SJC on 7 February 2015 from 10am to 11am. All interested Old Boys are invited to attend.dated: 22 January 2015 |
4. Questions and Answers on issues relating to the Alumni ManagerBackground of the Incorporated Management Committee ("IMC")On
31 August 2013, the Incorporated Management Committee (“IMC”) of Saint
Joseph’s College (“the School”) was established under the Education
Ordinance, Cap 279 (“the Ordinance”) for the management of the School.
By its Constitution ("IMC Constitution"), the IMC of the School is composed of 12 managers to discharge the functions and powers provided in the Ordinance. Amongst the present Managers are: • Bro. Jeffrey Chan, appointed by the School Sponsoring body De La Salle Brothers (‘SSB’) as the Supervisor of the School, and 6 other SSB Managers, and • Mr KB Ching, elected Teacher Manager, and Mr Chris Chan, Alternate Teacher Manager SJCOBA as the only recognized old boys’ association of the School, and being long established with a history going back to 1913, has been entrusted by the School for the election of a nominee to be registered as Alumni Manager. How do we select the Alumni Manager? There
is just ONE Alumni Manager as provided in the IMC Constitution. The
Alumni Manager will therefore be elected from amongst old boys of the
Here the article breaks off for materials data:
/*
First-principles (PBE) data for an optimized crystal structure of CaLa2, as listed in Alexandria via LeMat-Bulk.

Calculated values
- electronic total energy (eV/atom) = -3.7910
- M_tot (μB per formula unit) = 0.00
- polymorph energy (0 for the lowest one) (meV per atom) = 134.1
- SG = No. 227
- energy relative to the elements (kJ/mol of atoms) = 15.5

a b c (Å): 7.002 7.002 7.002
angles (deg): 60.00 60.00 60.00
Element x y z (fractional)
1 Ca 0.125 0.125 0.125
2 Ca 0.875 0.875 0.875
3 La 0.000 0.500 0.500
4 La 0.500 0.000 0.500
5 La 0.500 0.500 0.000
6 La 0.500 0.500 0.500
*/
The article goes on:
School to be nominated for registration as one of the Managers.
The old boy in this position is expected to know the challenges the School has to face and to help discharge the functions and powers of the IMC as provided in the Ordinance. Terms of Office of the Alumni Manager 2
years with entitlement to re-election to serve a maximum of only 2
consecutive terms.
Duties and Responsibilities of the Alumni Manager Alumni
Manager is expected to carry out the objects of the IMC, which are to
promote education in and to manage the School and to formulate
education policies of the School in accordance with the Tradition and
Philosophy of Lasallian Education; and the Vision and Mission of the
School, so as to ensure that a human and Christian education is
imparted to the young, especially to the poor and needy, within the
Catholic and Lasallian spirit, and in line with the ethos of the
Institute of the Brothers of the Christian Schools (De La Salle
The Tradition and Philosophy of Lasallian Education and the Vision and Mission of the School are specified in the IMC Constitution and available on request from sjc.am.election@gmail.com. Who is entitled to vote or be a candidate? All
alumni or old boys of the School whose names are on the Final Register
of Voters (“FRV”) are eligible to nominate or to be nominated as a
Candidate at the Election.
“Alumnus” and “Old boy” shall mean any ex-pupil of Saint Joseph’s College who had studied in the said College, and/or its primary school section at the said College at 7 Kennedy Road, Hong Kong, for at least one Scholastic Year. Definition of "Old Boy" “Old
boy” shall mean any ex-pupil of Saint Joseph’s College who has studied
in the said College, and/or its primary school section at the said
College at 7 Kennedy Road, Hong Kong, for at least one Scholastic Year.
How to register as a voter? Names
on the Final Register for the immediate past Alumni Manager Election
will be automatically included into the new Provisional Register and
Final Register for this election. Old Boys who are NOT SJCOBA
members or have not previously registered as Voters and wish to
register as such may download the VOTER REGISTRATION FORM, which will
be uploaded to the OBA website during the Voter Registration period or
obtain a copy of the same by email (sjc.am.election@gmail.com) from the SJCOBA Alumni Manager Election
Sub-committee (“ESC”). The form must be returned to the ESC on
/before the Cut-off date either by e-mail (sjc.am.election@gmail.com) or mail to SJC for the attention of the
NB : New SJCOBA Membership Applications will be suspended from commencement of the Voter Registration Period (1 February 2015) until after the Cut-Off Date (28 February 2015). Membership application: https://www.dropbox.com/s/4efka47y5jqlzy1/VoterRegistration.revA.pdf?dl=0. Old boys who are members of the SJCOBA but have not completed the voter registration process before may do so online (www.sjcoba.org) by logging into their account with SJCOBA and updating ALL fields in their membership profile BEFORE the Cut-off date. OBA Membership Profile updates will be suspended from the Cut-Off Date (28 February 2015) until after the Election Day (25 April 2015). On Election day, all old boys intending to vote will be required to produce the relevant ORIGINAL identity document corresponding to the information they supplied for voter registration. The responsibility on the correctness of the information supplied and the production of the relevant identity document on Election day rests on individual Old boy. Intending voters should check their names against the Provisional Register of Voters which will be published on OBA website on 12 March 2015 and any clarification of their voting status should be communicated to Louis Chan (email : sjc.am.election@gmail.com), Convenor of Alumni Manager Election Sub-committee, during the rectification period from 13 March to 26 March 2015. THERE IS NO DISCRETION TO ALLOW UNREGISTERED OLD BOYS TO VOTE ON ELECTION DAY. OLD BOYS WILL NOT BE ENTITLED TO VOTE IF THEY FAIL TO PRODUCE ON ELECTION DAY THE ORIGINAL HKID, PASSPORT OR OTHER IDENTITY DOCUMENT MATCHING THE DETAILS ON THE REGISTRATION RECORD. Provisional and Final Registers of Voters Old
boys successfully Registered as a Voter will be listed in the
Provisional Register of Voters (PRV) which will be published on OBA
website on 12 March 2015. The publication of Final Register of Voters
(“FRV”) will be published on 27 March 2015.
Final Register for Voters (2014): https://www.dropbox.com/s/58ofgz310rdleis/FinalRegisterfor2014IMCAlumniElection2.pdf?dl=0 Final Register for Voters (2015): https://www.dropbox.com/s/03pijetl5a32yps/FRV%201.pdf?dl=0 Failure to furnish sufficient information for verification for Voter registration The
Election Sub-committee ("ESC") may at any time at its discretion seek
verification of identity and other relevant information for the purpose
of registration of Voter. The ESC may refuse to register the Old Boys/
SJCOBA Members who fail to comply with reasonable requests for such
verification as a Voter or remove that person from the Register of
Voters, whether Provisional or Final.
Nomination of Candidate
Alumni Manager Candidate All
old boys wishing to contest as a candidate for the Alumni Manager
position shall complete the NOMINATION FORM, as prescribed together
with such declaration(s) and personal information as may be required
and submit it to the Election Sub-committee during the 14-day period
from 28 March 2015 to 10 April 2015. Without limiting the generality of
the above, a Candidate shall submit with his Nomination Form his
written confirmation that his nomination to the IMC for registration as
an alumni manager of the IMC of the School does not infringe s40AL(5)
[serving the IMC in more than one capacity], s40AP(6) [not a teacher of
the School] and he meets all the registration requirements of an alumni
manager in that none of the grounds of refusal under s30 of the
Ordinance applies to him or would apply to him for the full term of
office as such alumni manager if so elected and registered.
A Candidate must be nominated by a Proposer and seconded by a Seconder. Both the Proposer and the Seconder must be on the FRV. Each Old boy, in his capacity either as Proposer or Seconder, can nominate a maximum of 2 Candidates. SJCOBA Alumni Manager Election Sub-committee dated: 22 January 2015 |
5. Voter registration for Saint Joseph’s College Incorporated Management Committee (IMC) Alumni Manager Election 2015In order to cast your vote in the upcoming IMC Alumni Manager election on 25 April 2015, all qualified old boys are required to register as voters during the Voter Registration Period (i.e. from 1 February to 28 February 2015).Names on the Final Register for the immediate past Alumni Manager Election will be automatically included into the new Provisional Register and Final Register for this election. Old boys whose names are not on this past Final Register (attached for checking) but want to vote or be nominated as candidate should register as voter by downloading and completing the VOTER REGISTRATION FORM, during the period of 1 February to 28 February or obtain a copy of the same by e-mail (sjc.am.election@gmail.com) from the SJCOBA Alumni Manager Election Sub-committee (“ESC”). The form must be returned to the ESC on /before 28 February 2015 either by e-mail (sjc.am.election@gmail.com) or mail to SJC for the attention of the ESC. Should you have any questions about the registration logistics, please feel free to contact us at sjc.am.election@gmail.com . IMC Alumni Manager Election Subcommittee dated: 31 January 2015 |
6. IMC Alumni Manager (AM) Election BriefingThe Election Subcommittee (ESC) conducted a briefing on the background and logistics of the AM Election on 7th February 2015. During the briefing, interested old boys shared their views on the duty of the AM.AM Election ESC dated: 9 February 2015 |
7. Alumni Manager Election Announcement – Provisional Register of VotersThe ESC has published a Provisional Register of Voters (“PRV”) listing out the names of Old Boys registered as Voters for the Election and their respective years of graduation or attending F5 or (if left SJC earlier) would have attended F5. https://www.dropbox.com/s/03pijetl5a32yps/FRV%201.pdf?dl=0Any Old boy who is of the opinion that his name should be but is not on the PRV shall as soon as practicable within 14 days after the publishing of the PRV, that is, before 5pm on 26 March 2015, inform the ESC of the same in writing at sjc.am.election@gmail.com together with proof that he has applied to register as a Voter during the Registration Period or he is a SJCOBA Member who satisfies the requirement for automatic registration as a Voter as on the Cut-Off Date. The ESC shall make an investigation. The decision of the ESC shall be final. (Alumni Manager Election Bye-laws 30) The ESC shall not entertain any complaint not made within time as stated hereinabove. (Alumni Manager Election Bye-laws 31) Publication of Final Register of Voters ("FRV") will be made on 27 March 2015. SJCOBA Alumni Manager Election Sub-committee dated: 11 March 2015 |
ContactAddress: 7 Kennedy Road, Central, Hong kongTel: (852) 3652 4888 Fax: (852) 2877 0232 Email: sjc.am.election@gmail.com |